In your 1 st paragraph, write about a time when greed has personally affected your life. Who was involved, what happened, and what was the end result? What did you learn from this specific incident? Did it change your perspective or relationship with someone or something in any way? In your 2 nd paragraph, discuss where and how you see greed influencing our world in general. Who or what represents greed? Is greed ever a positive thing? How and why? Quick-Write Journal
Do you think people still chase after wealth and social status today? How and why? Can you think of someone that has searched for wealth and social status? Then in your second paragraph, discuss some of the dangers and pitfalls one might face when chasing wealth and social status. Also, explain whether or not you personally think the pursuit of wealth and social status is worthwhile.
“The Necklace”
........
DFT (ωB97M-V/def2-TZVPD) results for a molecular structure, C14H29LaP2.

Results
LUMO energy   -0.002 Eh
Energy   -1264.90285 Ha
Kohn-Sham gap   5.98 eV
Spin multiplicity   1
Total charge   0

```
46
Properties=species:S:1:pos:R:3:forces:R:3
C 0.144430 -1.504867 -3.941175 -0.3694 -1.2850 -0.0885
C -0.573368 -0.753040 -4.837909 0.0184 -0.5991 -1.9205
C -0.700758 0.672407 -4.706182 -0.3746 -0.0864 0.0131
C 0.194920 1.395211 -3.851137 0.6115 1.4269 -0.8447
C 0.917188 0.790389 -2.849706 0.2733 1.0320 0.5481
La -1.006619 -0.295251 -2.400542 -1.0488 -0.3215 2.7431
P -0.008104 -3.021120 -1.303736 -0.0176 -0.7611 -0.0222
H 0.371465 -2.566139 -4.082596 -0.1356 0.2325 -0.6303
H -1.136463 -1.217027 -5.665865 0.5414 0.2881 -0.0435
H -1.368584 1.219452 -5.379988 0.3143 -0.2199 0.2405
H 1.671046 1.334629 -2.278878 0.0362 0.3789 -0.3853
H 0.216221 2.482026 -4.015428 0.2650 -0.2815 -0.1817
H 1.271640 -3.378475 -0.784362 -0.4156 0.1100 -0.0757
H -0.047185 -4.083042 -2.257485 -0.0366 0.3247 0.2880
H -0.779483 -3.707542 -0.313990 0.3184 -0.0976 -0.0945
C -1.925913 2.397325 1.320230 0.0529 0.1430 0.0585
C -0.413448 2.122779 1.345272 0.4681 -0.0634 -0.1262
C 0.198672 2.392277 2.722369 -0.2010 0.2997 0.2156
P 0.051017 0.510111 0.536057 -0.8110 -0.4775 -0.5261
C 1.868298 0.270394 0.853152 -0.1768 0.2555 0.4956
C 2.237764 -0.231478 2.253558 0.4202 0.0404 0.1366
C 2.570467 -0.602299 -0.189393 0.1668 0.1199 -0.1186
C -0.897710 -0.845381 1.439723 0.5368 0.3414 0.0843
C -0.957951 -0.738212 2.966340 -0.2583 -0.4871 0.3290
C -2.320653 -1.000988 0.865252 -0.0097 -0.0676 0.0009
H -2.484029 1.770809 2.031261 0.2071 0.1580 -0.1984
H -2.358207 2.267244 0.317243 0.1407 -0.0390 0.2432
H -2.088179 3.445782 1.611936 -0.0273 -0.2689 -0.0652
H 0.054624 2.836155 0.643298 -0.1714 -0.1146 0.1646
H -0.119870 1.667360 3.482056 0.1338 0.2163 -0.2398
H 1.293578 2.413915 2.687718 -0.2498 -0.0159 0.0002
H -0.139149 3.382373 3.058352 0.1330 -0.1280 0.0216
H 2.241140 1.304638 0.741194 -0.0065 -0.2511 0.0041
H 1.870802 -1.253788 2.427800 0.0716 0.2808 -0.0749
H 3.335247 -0.267455 2.322983 -0.2187 -0.0628 0.0390
H 1.891166 0.421307 3.061721 0.0009 -0.2470 -0.2007
H 2.378170 -0.275547 -1.215411 -0.0732 -0.1901 0.2255
H 3.652455 -0.530968 -0.005371 -0.2071 -0.1199 -0.0593
H 2.286440 -1.658219 -0.095323 0.0690 0.2988 0.0452
H -0.319832 -1.750845 1.182681 -0.1790 0.1707 0.1079
H -1.569852 0.109090 3.306844 0.1831 -0.2216 -0.1675
H -1.434686 -1.653225 3.352736 0.0414 0.2293 0.0245
H 0.029000 -0.680009 3.440598 -0.3452 0.0989 -0.2223
H -2.350502 -1.352313 -0.186993 0.1141 0.1745 0.4894
H -2.844744 -1.771073 1.448857 0.0032 0.1674 -0.1682
H -2.900476 -0.067384 0.942218 0.2121 -0.3811 -0.0643
```
Forces are in eV/Å.

----------

Density functional theory data (ωB97M-V/def2-TZVPD) for a structure of composition C62H68Cl6F3N11NiO3.

Last column: Mulliken spin population.
Atoms and positions in Å:
Ni -10.34602 8.03098 -4.78706  1.82
Cl -9.24138 14.73322 1.82942  0.00
Cl -10.79484 15.59180 -4.02427  0.00
........
TITLE: “The Necklace” AUTHOR: Guy de Maupassant SETTING (Time and Place): 1884 Paris, France Loisel’s apartment, party at the Ministry of Education’s Mansion. Background
CHARACTERS Madame Loisel - selfish (beautiful, charming, middle class, spoiled, daydreamed), aged quickly, heavy rough, harsh, shrill voice, poor Monsieur Loisel- kind, generous, loyal hard- working, clerk for Ministry of Education, wants to please wife, middle class Madame Forestier - kind, generous, wealthy, snobby
Check Yourself…
POINT OF VIEW: This short story is told from: -the 3rd person limited point of view. -The author focuses on Mme. Loisel’s thoughts and feelings.
Conflicts: Internal – Mme. Loisel vs. herself: her excessive pride, materialism and shallowness cause her emotional torture as she feels she’s been deprived of luxuries.
Conflict cont’d External – Man vs Man Mme. Loisel vs. M. different values (although he is tolerant of her behavior and wants to please her)
SYMBOLS: Necklace = greed/desire for what one cannot have, differences in social classes, dishonesty, Mme. L’s ‘fakeness’ or want of material things Wrap = Mme’s station in life – insecurity- embarrassment Dress = M. Loisel sacrifice for his wife
THEME: 1. People should be happy with what they have. 2. Honesty is the best policy. 3. You may pay a terrible price for greed and desire (Mme. L’s fatal flaw, her desire for material things, her ‘fakeness’ just like the necklace)
OTHER LITERARY ELEMENTS Characterization – the author shows what Mme. Loisel is like by concentrating mainly on the way she views her surroundings (daydreams about expensive things/lifestyle.
Other Literary Elements cont’d Irony – Mme. L borrows a necklace to fit in with the rich people she envies, but the loss of the necklace results in her being poorer than she was.
Other Literary Elements cont’d Foreshadowing - Rue de Martyrs the name of the street and the English word martyr- martyr means a great or constant sufferer. Her intense unhappiness cannot be lifted with one party invitation.
PLOT DEVELOPMENT CHART EXPOSITION: We meet Mme. Loisel in her apartment as she is described as extremely unhappy and dissatisfied with her social status
Plot Development Chart cont’d RISING ACTION: Receives an invitation to a party; Mme. Refuses to attend the party without a suitable dress (husband spends his savings for her to buy a dress); won’t go without a necklace (borrows one); attends party
Plot Development Chart cont’d CLIMAX: The necklace is missing Falling Action: Buy a new necklace by borrowing money and go into debt; gives this to friend; spend next 10 years paying off loan. Resolution: 10 years later relieved of the debt Mme. L. confesses all to Mme. F. who reveals the necklace is a fake
More Lit terms.. Foreshadowing- Madame and Monsieur Loisel live on “Rue des Martyrs” street. A martyr is someone that suffers a great deal and never recovers after their loss. The author foreshadows the suffering that Madame and Monsieur Loisel will have.
More Lit terms Mood- The mood of this story changes as the characters and their priorities change. In the beginning, Madame L is disappointed, but then she has a great time at the party and the mood shifts to one of excitement and enjoyment.
Mood cont’d… After losing the necklace, Madame L’s priorities change and the mood changes to one of tragedy and loss.